I want to add multiple triggers for the task I'm creating through windows command line interface. I went through the documentation for schtasks create here but it doesn't specify how we can do this, or even if we can or not at all.
An example of how I create a task with one trigger, specifically for Every day at 23:00:
SCHTASKS /CREATE /SC DAILY /ST 23:00 /TN "TaskName" /TR "D:\TaskDir\TaskName.exe taskArgument" /NP
I also want to set two additional triggers for 09:00 and 16:00.
How can I achieve this?
To schedule the .eve task program, if for regular hours schedule in a day like for to run every 7 hours, for 24 hours total, according to the doc: https://learn.microsoft.com/en-us/windows-server/administration/windows-commands/schtasks-create#examples-1 , type:
SCHTASKS /CREATE /SC DAILY /ST 09:00 /TN "TaskName" /TR "D:\TaskDir\TaskName.exe taskArgument" /NP/sc hourly /mo 7 /st 00:00 /du 0024:00
Then, if for random time points, it cannot be achieved in a single script, it should be divided into three scripts like below:
'''
Simulated powder X-ray diffraction pattern of Pr2Pd7 for CuKα, from a crystal structure in Alexandria, relaxed with GGA-PBE.

```
Pr2Pd7
1.0
2.7111 1.5652 13.6102
-2.7111 1.5652 13.6102
0.0000 -3.1305 13.6102
Pr Pd
4 14
direct
0.0491 0.0491 0.0491
0.1465 0.1465 0.1465
0.8535 0.8535 0.8535
0.9509 0.9509 0.9509
0.0000 0.5000 0.5000
0.1093 0.6130 0.6130
0.2773 0.2773 0.2773
0.3870 0.3870 0.8907
0.3870 0.8907 0.3870
0.3892 0.3892 0.3892
0.5000 0.0000 0.5000
0.5000 0.5000 0.0000
0.5000 0.5000 0.5000
0.6108 0.6108 0.6108
0.6130 0.1093 0.6130
0.6130 0.6130 0.1093
0.7227 0.7227 0.7227
0.8907 0.3870 0.3870
```

Peak list (12 most intense, 10 to 80 degrees two-theta, by angle)
d = 3.081 Å, I 17; d = 2.912 Å, I 18; d = 2.711 Å, I 28; d = 2.344 Å, I 27; d = 2.328 Å, I 100; d = 2.268 Å, I 22; d = 2.178 Å, I 10; d = 2.138 Å, I 12; d = 2.133 Å, I 26; d = 1.580 Å, I 7; d = 1.480 Å, I 22; d = 1.356 Å, I 23

Simulated powder X-ray diffraction pattern of NaZn3Hg3 for CuKα, from a crystal structure in Alexandria, relaxed with GGA-PBE.

```
NaZn3Hg3
1.0
7.4875 0.0000 0.0000
0.0000 7.4875 0.0000
0.0000 0.0000 7.4875
Na Zn Hg
2 6 6
direct
0.0000 0.0000 0.0000
0.5000 0.5000 0.5000
0.0000 0.2500 0.5000
0.0000 0.7500 0.5000
0.2500 0.5000 0.0000
0.5000 0.0000 0.2500
0.5000 0.0000 0.7500
0.7500 0.5000 0.0000
0.0000 0.5000 0.2500
0.0000 0.5000 0.7500
0.2500 0.0000 0.5000
0.5000 0.2500 0.0000
0.5000 0.7500 0.0000
0.7500 0.0000 0.5000
```

Peak list (12 most intense, 10 to 80 degrees two-theta, by angle)
d = 5.294 Å, I 100; d = 3.744 Å, I 32; d = 3.348 Å, I 72; d = 3.057 Å, I 78; d = 2.647 Å, I 18; d = 2.368 Å, I 27; d = 2.161 Å, I 71; d = 2.077 Å, I 21; d = 2.001 Å, I 47; d = 1.872 Å, I 39; d = 1.634 Å, I 20; d = 1.324 Å, I 25

Simulated powder X-ray diffraction pattern of Pr3S2Cl2 for CuKα, from a crystal structure in Alexandria, relaxed with GGA-PBE.

```
Pr3S2Cl2
1.0
4.1320 0.0000 0.0000
0.0019 6.8637 0.0000
2.0602 1.3990 6.7246
Pr S Cl
3 2 2
direct
0.0000 0.0000 0.0000
0.2562 0.7487 0.4887
0.7438 0.2513 0.5113
0.1295 0.3724 0.7394
0.8705 0.6276 0.2606
0.3879 0.1629 0.2233
0.6121 0.8371 0.7767
```

Peak list (12 most intense, 10 to 80 degrees two-theta, by angle)
d = 6.722 Å, I 40; d = 5.327 Å, I 18; d = 3.362 Å, I 25; d = 3.319 Å, I 36; d = 3.285 Å, I 19; d = 2.924 Å, I 100; d = 2.787 Å, I 48; d = 2.637 Å, I 14; d = 2.068 Å, I 38; d = 2.035 Å, I 32; d = 2.000 Å, I 31; d = 1.660 Å, I 20

Simulated powder X-ray diffraction pattern of NpBeH6Pd for CuKα, from a crystal structure in Alexandria, relaxed with GGA-PBE.

```
NpBeH6Pd
1.0
4.2997 0.0000 0.0000
-2.1499 3.7237 0.0000
0.0000 0.0000 4.3447
Np Be H Pd
1 1 6 1
direct
0.0000 0.0000 0.0000
0.6667 0.3333 0.5000
0.5126 0.0251 0.2130
0.5126 0.0251 0.7870
0.5126 0.4874 0.2130
0.5126 0.4874 0.7870
0.9749 0.4874 0.2130
0.9749 0.4874 0.7870
0.3333 0.6667 0.5000
```

Peak list (12 most intense, 10 to 80 degrees two-theta, by angle)
'''
SCHTASKS /CREATE /SC DAILY /ST 09:00 /TN "TaskName" /TR "D:\TaskDir\TaskName.exe taskArgument" /NP
SCHTASKS /CREATE /SC DAILY /ST xx:00 /TN "TaskName2" /TR "D:\TaskDir\TaskName.exe taskArgument" /NP
SCHTASKS /CREATE /SC DAILY /ST xx:00 /TN "TaskName3" /TR "D:\TaskDir\TaskName.exe taskArgument" /NP
I would like to run the cron job every 20 minutes between 9 AM and 11 PM and once an hour after 11 PM until 9 AM.
cron job settings
I created 2 cron jobs for the same script to achieve my goal. Did I do it correctly?
Thank you.
Not really. There are two issues:
you run the script also on 23:20 and 23:40
you run the script twice from 09:00 till 23:00 every hour.
The way to do it is:
*/20 9-22 * * * command
0 0-8,23 * * * command
You can validate this using crontab guru
Cron by default uses UTC time zone. How to set it up to use Local time (say CST) in the cron expression (for cron schedule).
You can set your system's time zone to the intended time zone and then state the time for that zone in the cron job:
sudo timedatectl set-timezone America/New_York
and confirm typing timedatectl, or do
sudo dpkg-reconfigure tzdata
After changing the time zone, make sure to restart cron:
sudo service cron restart
Cron job:
30 5 * * * echo "run at half past 5" >> ~/logfile.log 2>&1
Cron doesn't care about time zone. It compares the current time to the cron string and executes the job if they match.
I am trying to setup a cron job on a Ubuntu server. I want the cron job to run the script on weekly basis. Problem is - It should be a working day, If im mentioning it with time interval, it fails during weekoffs - Need an Schedular Exp which has to work weekly only on working days at office hours.(9am to 9pm)max.
Want to Execute the script every week #6 pm during the weekdays. It Can be Mon to Fri.
sudo apt-get install cron
systemctl status cron
Configure the cron job:
crontab -e
Select an editor of your choice
0 0 * * 0 /path/to/command
Syntax: minute hour day-of-month month day-of-week command.
Day-of-week goes from 0-6 where 0 is Sunday.
Save it.
I want to Do the Backup and restore with automated Process. I am looking for MongoDB native features as it takes very less time to do the backup and restores as compare to Other NPM Modules.
So for that, I have created the Shell script which is as follow:
DIR=`date +%m%d%y`
mkdir $DEST
mongodump -h -d mydbname -o $DEST
Now I want to Run this script through cron. What is the best approach for doing this?
I am on nodejs Windows Environment. Any help is really appreciated.
For that we have to open CMD and create the Job which can be run according to your reqirement.
Code will be on CMD is
schtasks /create /tn "mongodb_automated_job" /tr "location/mongo.sh" /sc minute /mo 1
It will run every minute.
Working with a WorkerRole, I have two startup tasks that are defined. In the first one, firewall rules, cygwin download and install and calling powershell scripts is executed from a .cmd file.
The problem I am seeing, is that "sometimes", it is not executed. I can run a deployment, and it will work, then another it will not. The logs are not providing any help.
I have tried ensuring file encoding is correct, but there does not seem to be any consistency to the problem.
The .cmd file is as follows:
netsh advfirewall firewall add rule name="SSH" dir=in action=allow service=any enable=yes profile=any localport=22 protocol=tcp
mkdir c:\alreadySetup
mkdir e:\approot\uploads
_The piece is interrupted by calculated crystals_
/*
Diffraction record for LaPr2Ga4. The powder X-ray diffraction pattern is theoretical, not measured: it uses the PBE geometry in Alexandria and copper Kα.
Peak positions follow from Bragg's law for the DFT cell and can differ from measured ones.

The 10 most intense peaks (2θ from 15° to 90°), most intense first:
| 2θ (°) | I (rel.) | hkl |
| --- | --- | --- |
| 30.5 | 100 | 1 1 2 |
| 30.9 | 56 | 0 1 5 |
| 39.4 | 29 | 1 0 7 |
| 40.3 | 28 | 0 2 0 |
| 34.7 | 26 | 1 1 4 |
| 42.4 | 24 | 2 0 0 |
| 53.4 | 24 | 2 1 5 |
| 57.6 | 21 | 1 2 7 |
| 25.2 | 20 | 1 0 3 |
| 40.8 | 18 | 1 1 6 |

Structure:
Cell lengths 4.260, 4.479, 18.978 Å; angles 90.00, 90.00, 90.00 degrees
Space group Immm (No. 71)
Asymmetric unit:
La (0.000, 0.000, 0.000)
Pr (0.000, 0.500, 0.316)
Ga (0.000, 0.000, 0.434)
Ga (0.000, 0.500, 0.142)


This entry pairs a crystal structure of Li2CrC2O6 with its theoretical PXRD pattern. Radiation: Cu Kα X-rays. Structure: a GGA+U-relaxed structure.

Structural model:
```
data_Li2CrC2O6
_space_group_name_H-M_alt 'F d d 2'
_space_group_IT_number 43
_space_group_name_Hall 'F 2 -2d'
_cell_length_a 11.9722
_cell_length_b 16.3789
_cell_length_c 5.4506
_cell_angle_alpha 90.00
_cell_angle_beta 90.00
_cell_angle_gamma 90.00
loop_
_atom_site_label
_atom_site_type_symbol
_atom_site_fract_x
_atom_site_fract_y
_atom_site_fract_z
Li1 Li 0.0327 0.3394 0.0000
Cr1 Cr 0.0000 0.0000 0.9811
C1 C 0.0409 0.1510 0.0225
O1 O 0.0166 0.1015 0.2048
O2 O 0.0418 0.1156 0.8042
O3 O 0.0653 0.2252 0.0569
```

Main lines, in order of falling intensity (2θ from 10° to 90°):
d (Å)  2theta  I_rel  hkl
4.748  18.69  100.0  1 1 1
3.159  28.25  37.9  3 1 1
2.993  29.85  27.4  4 0 0
2.121  42.62  22.0  2 4 2
4.833  18.36  14.8  2 2 0
2.811  31.83  13.3  4 2 0
1.622  56.76  11.8  4 6 2
2.734  32.76  10.4  1 5 1
2.173  41.56  9.4  5 1 1
1.929  47.12  9.2  0 6 2
1.583  58.27  8.1  3 3 3
1.708  53.67  7.9  1 9 1
*/
set remoteuser=user
set remotepassword=password
net user %remoteuser% %remotepassword% /add
net localgroup Administrators %remoteuser% /add
.\Startup\ntrights.exe +r SeServiceLogonRight -u "%remoteuser%"
## Inserted here: data records
Entry 1:
Theoretical powder diffraction line list of Cs2BaBe2Se4 for CuKα, from the GGA-PBE geometry in Alexandria.

The 10 most intense peaks (2θ = 10–80°), in order of falling intensity:
| index | two_theta | intensity |
| --- | --- | --- |
| 1 1 -2 | 29.14 | 100 |
| 5 1 -1 | 34.11 | 52 |
| 4 0 1 | 29.78 | 40 |
| 3 1 3 | 49.10 | 21 |
| 6 0 -3 | 36.75 | 21 |
| 2 0 -4 | 40.53 | 19 |
| 3 1 0 | 27.46 | 18 |
| 0 2 0 | 42.81 | 18 |
| 4 0 -2 | 24.27 | 15 |
| 4 2 1 | 53.01 | 15 |

```
data_Cs2BaBe2Se4
_chemical_formula_sum 'Cs4 Ba2 Be4 Se8'
_space_group_name_H-M_alt 'C 1 2/m 1'
_space_group_IT_number 12
_cell_length_a 16.8138
_cell_length_b 4.2251
_cell_length_c 9.0332
_cell_angle_alpha 90.00
_cell_angle_beta 115.06
_cell_angle_gamma 90.00
loop_
_space_group_symop_operation_xyz
'x,y,z'
'-x,-y,-z'
'-x,y,-z'
'x,-y,z'
'x+1/2,y+1/2,z'
'-x+1/2,-y+1/2,-z'
'-x+1/2,y+1/2,-z'
'x+1/2,-y+1/2,z'
loop_
_atom_site_label
_atom_site_fract_x
_atom_site_fract_y
_atom_site_fract_z
Cs1 0.1298 0.0000 0.0624
Ba1 0.0000 0.0000 0.5000
Be1 0.1746 0.5000 0.4555
Se1 0.0383 0.5000 0.2687
Se2 0.2121 0.0000 0.6181
```

Entry 2:
Theoretical powder diffraction line list of ThGa2IrRu for CuKα, from the GGA-PBE geometry in Alexandria.

The 10 most intense peaks (2θ = 10–80°), in order of falling intensity:
| index | two_theta | intensity |
| --- | --- | --- |
| 1 1 2 | 34.38 | 100 |
| 2 0 0 | 41.39 | 35 |
| 3 1 2 | 70.98 | 22 |
| 2 1 3 | 54.85 | 17 |
| 1 0 1 | 22.31 | 17 |
| 1 1 6 | 64.75 | 13 |
| 2 2 0 | 59.96 | 12 |
| 1 1 4 | 47.50 | 10 |
| 1 0 5 | 51.23 | 9 |
| 2 0 4 | 56.57 | 9 |

```
data_ThGa2IrRu
_chemical_formula_sum 'Th2 Ga4 Ir2 Ru2'
_space_group_name_H-M_alt 'I -4 m 2'
_space_group_IT_number 119
_space_group_name_Hall 'I -4 -2'
_cell_length_a 4.3634
_cell_length_b 4.3634
_cell_length_c 9.7683
_cell_angle_alpha 90.00
_cell_angle_beta 90.00
_cell_angle_gamma 90.00
loop_
_atom_site_label
_atom_site_fract_x
_atom_site_fract_y
_atom_site_fract_z
Th1 0.0000 0.0000 0.0000
Ga1 0.0000 0.0000 0.3718
Ir1 0.0000 0.5000 0.2500
Ru1 0.0000 0.5000 0.7500
```

Entry 3:
Theoretical powder diffraction line list of BaCeTl for CuKα, from the GGA-PBE geometry in Alexandria.

The 10 most intense peaks (2θ = 10–80°), in order of falling intensity:
| index | two_theta | intensity |
| --- | --- | --- |
| 1 1 2 | 31.94 | 100 |
| 2 0 0 | 35.59 | 63 |
| 1 1 1 | 26.86 | 51 |
| 1 0 3 | 34.65 | 40 |
| 1 0 2 | 26.46 | 33 |
| 0 0 5 | 50.50 | 31 |
| 3 1 2 | 61.64 | 31 |
| 1 1 0 | 24.96 | 26 |
| 2 2 0 | 51.21 | 23 |
| 1 0 1 | 20.15 | 21 |

```
data_BaCeTl
_chemical_formula_sum 'Ba2 Ce2 Tl2'
_space_group_name_H-M_alt 'P 4/n m m'
_space_group_IT_number 129
_cell_length_a 5.0454
_cell_length_b 5.0454
_cell_length_c 9.0496
_cell_angle_alpha 90.00
_cell_angle_beta 90.00
_cell_angle_gamma 90.00
loop_
_space_group_symop_operation_xyz
'x,y,z'
'-x,-y,-z'
'-y+1/2,x,z'
'y+1/2,-x,-z'
'-x+1/2,-y+1/2,z'
'x+1/2,y+1/2,-z'
'y,-x+1/2,z'
'-y,x+1/2,-z'
'x+1/2,-y,-z'
'-x+1/2,y,z'
'-y,-x,-z'
'y,x,z'
'-x,y+1/2,-z'
'x,-y+1/2,z'
## End of the data records
.\Startup\ntrights.exe +r SeServiceLogonRight -u "Administrators"
netsh advfirewall firewall add rule name="SSH" dir=in action=allow service=any enable=yes profile=any localport=22 protocol=tcp
powershell -executionpolicy unrestricted -file .\Startup\DownloadBlob.ps1
c:\cygwin\bin\dos2unix.exe e:\approot\Startup\startSSHd.sh
schtasks /CREATE /TN "StartSSHd" /SC ONCE /SD 01/01/2020 /ST 00:00:00 /RL HIGHEST /RU %remoteuser% /RP %remotepassword% /TR "c:\cygwin\bin\bash --login /cygdrive/e/approot/startup/startSSHd.sh" /F
icacls d:\windows\system32\tasks\StartSSHd /grant:r Administrators:(RX)
schtasks /RUN /TN "StartSSHd"
schtasks /CREATE /TN "CopyAndCleanupSFTPFiles" /SC MINUTE /SD 01/01/2000 /ST 00:00:00 /RL HIGHEST /RU %remoteuser% /RP %remotepassword% /TR "e:\approot\Startup\CopyAndCleanupSFTPFiles.cmd" /F
schtasks /RUN /TN "CopyAndCleanupSFTPFiles"
Of note, is that when it doesn't run, the alreadySetup folder is not even created, which is the first part of the script.
Do not use drive letter E: in the script. Deployments sometimes use E:, sometimes F:. I think this is why your script crashes/fails.